This is our latest article on Covid-19 and its impacts on the favelas.
On the outskirts of São Paulo, the pandemic did not prevent repossessions of people’s homes. On June 16, the Military Police arrived at an area called Roseira, in the favela of Guaianases, in the far east of the city of São Paulo. They were there to execute a judicial order and evict roughly 900 people who were living in the area. According to local residents, the agents arrived at dawn, around 2am, and around 6am, the shacks where they had lived were demolished during the repossession.
Two months after the event, many families still lack a housing solution. A former telemarketing attendant who is currently unemployed, Samara de Lima*, was one of those removed. With two children, she lost her job in early March and found shelter during the area’s occupation. “Now I am supported by relatives, but I cannot stay here for months. I don’t know what to do to find a solution,” she said.
What comes next are calculated molecules, not part of the text:
~~~
{"formula": "C18H31N2Yb", "method": "the ωB97M-V functional and the def2-TZVPD basis", "elements": ["C", "H", "H", "H", "C", "H", "H", "C", "H", "H", "H", "C", "C", "C", "C", "C", "C", "C", "C", "C", "C", "Yb", "H", "H", "H", "H", "H", "H", "H", "H", "H", "H", "H", "H", "H", "H", "H", "C", "C", "C", "C", "N", "N", "C", "H", "H", "H", "H", "H", "H", "H", "H"], "positions_angstrom": [[1.349722, 2.236637, -1.350904], [2.087014, 2.465609, -0.447447], [1.599967, 1.455452, -2.017191], [0.672615, 0.923894, 2.107594], [0.157156, 3.117349, -1.280537], [-0.765130, 2.620290, -1.702704], [-0.083113, 3.386313, -0.202904], [0.596413, 4.363101, -2.051287], [-0.213801, 5.076861, -2.135755], [1.426761, 4.811600, -1.516004], [0.922059, 4.047323, -3.039701], [-0.964766, -1.862685, -0.198952], [-1.614198, -1.086936, -1.188282], [-0.644832, -0.717487, -2.156116], [0.596810, -1.272688, -1.760464], [0.398039, -1.965731, -0.544911], [1.424779, -2.736261, 0.207189], [1.861881, -1.189190, -2.536797], [-0.901345, 0.005406, -3.424962], [-3.074415, -0.859698, -1.286708], [-1.628833, -2.549279, 0.936762], [0.273738, 1.021239, 0.159439], [2.726032, -1.469443, -1.922974], [1.858714, -1.855466, -3.414446], [2.041587, -0.176979, -2.914464], [2.435765, -2.380364, -0.024745], [1.281360, -2.627457, 1.289639], [1.403745, -3.816641, -0.011034], [-2.515514, -2.002187, 1.279582], [-1.958323, -3.568933, 0.676313], [-0.951917, -2.643926, 1.796754], [-3.312869, -0.002768, -1.927148], [-3.597386, -1.732853, -1.714434], [-3.529540, -0.668388, -0.304132], [-0.129463, 0.763157, -3.627666], [-0.916983, -0.674381, -4.294353], [-1.866850, 0.522995, -3.407811], [1.780124, -0.584868, 5.515830], [0.830915, -0.220186, 4.470609], [-0.516085, 0.071504, 4.356446], [-0.841068, 0.408335, 3.093942], [0.288057, 0.001526, 2.346726], [1.344873, -0.252311, 3.238768], [-2.073202, 0.824465, 2.353599], [1.937820, 0.256168, 6.177483], [1.365703, -1.424518, 6.056378], [2.732814, -0.872017, 5.080657], [-1.225518, 0.086988, 5.170857], [2.294137, -0.132868, 2.909274], [-2.868632, 0.062421, 2.466745], [-2.494314, 1.754401, 2.775155], [-2.011001, 1.006374, 1.246088]], "atomic_forces_ev_per_a": [[0.8, -1.0, 4.5], [-0.5, -0.2, -2.0], [0.4, 0.0, -1.1], [0.3, 1.3, -0.2], [0.2, -0.2, -0.9], [0.5, 0.5, 0.0], [0.0, 0.0, -0.3], [-1.2, 0.6, 0.2], [-0.1, 0.4, -0.1], [0.1, 0.1, -0.1], [0.0, 0.1, 0.1], [-0.4, 0.6, 0.3], [0.3, 0.6, 0.3], [-0.7, 0.9, 0.6], [0.9, 0.4, 1.1], [0.7, 0.6, 0.0], [0.4, -0.3, 0.2], [0.5, -0.1, -0.3], [-0.1, 0.4, -0.6], [-0.8, 0.1, -0.1], [-0.1, -0.1, 0.4], [-1.5, -2.9, -4.5], [-0.1, 0.0, -0.2], [-0.1, 0.2, 0.3], [0.0, -0.2, -0.1], [-0.1, -0.2, 0.0], [0.0, -0.1, 0.0], [0.0, 0.3, 0.1], [0.0, -0.2, -0.1], [0.1, 0.3, 0.1], [-0.1, -0.1, -0.1], [0.0, -0.2, 0.1], [0.2, 0.3, 0.2], [0.0, -0.1, -0.2], [-0.1, -0.2, 0.0], [0.0, 0.2, 0.3], [0.2, -0.1, 0.0], [-0.2, 0.1, 0.6], [2.1, -0.9, -1.1], [-2.1, 0.8, 2.1], [0.4, -2.1, -0.9], [1.5, 1.6, -0.5], [-2.3, -0.3, 0.3], [-0.8, 0.5, 0.1], [0.0, 0.1, 0.5], [0.0, -0.2, 0.5], [0.0, -0.1, 0.0], [0.2, 0.1, 0.2], [0.1, -0.5, 0.2], [0.5, 0.2, -0.1], [0.3, -0.3, 0.0], [0.3, -0.4, 0.8]], "total_energy_ev": -53656.5031, "total_charge": 2, "de_lowest_kcal_mol": 147.3, "fmax_ha_per_bohr": 0.1087, "multiplicity": 2, "orbital_gap_ev": [5.1, 4.3]}
~~~
Autonomous worker and community leader Dania Lima de Oliveira, 55, reports that those removed that day now occupy an area on the edge of a stream in the region. “Some went temporarily to their family homes, because they did not have money to pay rent, while others went to Ipê Stream,” said Oliveira. At the new location, sewage runs alongside the new shacks.
When she remembers the episode, Oliveira highlights social vulnerabilities. “It was a very sad thing because we see that there were a number of people without a clue as to what to do; they are mothers and fathers of families,” she recalled. “They did not have a sense to life, because they had nowhere to go, and that was even before the pandemic.”
She said that many people in the occupation were unemployed and lost their income during the Covid-19 pandemic: “Their situation worsened with this virus. There are several families that need help.”
According to the judicial decision by magistrate Alessander Marcondes França Ramos, of the São Paulo Court of Justice, 4,000 Cohab public housing units will be built in the area. However, residents of the occupation say that they were not registered in any city housing program.
According to the Evictions Observatory, the repossession in Guaianases was decreed as a matter of urgency, without allowing families the opportunity to consult a lawyer for defense. Also according to the Observatory, more than 1,900 families have been affected in evictions across the state of São Paulo since March 2020, the month which marked the start of the coronavirus pandemic.
Renato Abramowicz, from LabCidade at the University of São Paulo’s Architecture and Urbanism School (FAU-USP), commented that the majority of removals took place without any form of public assistance for those removed. “After being removed, it is very difficult to get information about their destinations, not least because there is no interest and care on the part of the public agents and judges who enact the removals,” he asserted.
He reported that many people who suffered repossessions went to other occupations or to spaces in precarious situations, and that some people even went to the streets. “All of this, which typically happens, becomes even graver in the current context of the pandemic,” he said. The researcher also criticized the actions taken by the city of São Paulo and the decisions taken by the São Paulo State Court of Justice (TJ-SP). “It is also appropriate to denounce the intention of the city government, led by Cohab, to remove two entire blocks in the central region of the city, in Campos Elíseos,” he said, and concluded that “the violence of the loss of home is added to that of the forced exposure and risk of contamination by the new coronavirus, and the TJ-SP is responsible for these serious violations.”
The Other Side
The São Paulo city government, through the Municipal Secretariat of Assistance and Social Development (SMADS), informs that the team of the Reference Center for Social Assistance (CRAS) Guaianases appeared in the area of Sítio das Roseiras and offered emergency shelter to the families on site, but none accepted the offer.
Regarding the decisions, the Court of Justice said that it does not issue a position on jurisdictional issues, and also stated that the magistrates have functional independence to decide according to the documents in the case file and their free conviction. It also wrote that the independence of judges is a guarantee of the rule of law itself.
For an End to Removals
Last month, some housing movements in the state of São Paulo, such as the Landless Workers’ Movement (MTST), sent a complaint to the United Nations (UN) about the evictions that have occurred during the Covid-19 pandemic.
“What we have seen in the state of São Paulo, in practice, is the continuity and fulfillment of forced evictions of populations, making it so that women, in many cases pregnant, men, children, the elderly, people with disabilities and comorbidities are exposed to the violence of removal and homelessness, plus exposure to the new coronavirus,” states the complaint.
In July, Balakrishnan Rajagopal, the UN special rapporteur on the right to adequate housing, recommended that Brazil halt evictions during the pandemic. “Brazil has the duty to urgently protect everyone, especially communities at risk, from the threat of Covid-19,” he said. “Evicting people from their homes in this situation, regardless of the legal status of their housing, is a violation of their human rights.”
*The interviewee requested anonymity: Samara de Lima is a pseudonym.